CCMI presents: Nursing Supplemental Cardio-Pulmonary Training Program (NSCPT)
NSCPT GOAL: “to provide a structured supplemental education program for Nurses to “Bridge the Gap” in the specialized treatment and diagnosis of Cardio-Pulmonary and Post Covid-19 patients”
The Challenge: Higher acuity services are being ordered in Skilled Nursing Facilities including hourly nebulizer treatments with bronchodilators, Trach Care, CPAP, Bi-Pap, Cough Vest, Flutter Valve Therapy and Non-Invasive Ventilators (Trilogy).
Physician Respiratory orders now cover a broad range of routine treatments and related services including oxygen administration, nebulizer treatments, incentive spirometry, detailed Post Covid respiratory assessments including detailed breath sounds, negative inspiratory effort measurements, overnight oximetry, sleep studies and breathing exercises.
Nurses who are responsible for all of these services have never had a focused education program to deal with these new technologies and therapeutics.

Next to the text, the page also holds calculated molecules >
********
1.
Density functional theory data (the ωB97M-V functional and the def2-TZVPD basis) for a 2-piece molecular cluster, C2H4INS overall in a non-equilibrium geometry.

```
9
Properties=species:S:1:pos:R:3:forces:R:3
C 0.743247 -0.088077 0.719904 -1.2754 -1.8048 1.6805
C -0.228997 -1.074443 1.153938 -1.8811 1.0391 -2.3020
N 1.440894 0.701080 0.314536 1.7432 1.6817 -0.8150
S -1.731212 0.727033 -1.510213 -0.2727 -0.6186 0.2217
I -0.083153 2.127124 -2.205644 0.3567 1.1676 -0.6698
H -0.097336 -1.936263 0.519589 -0.2542 -0.2157 -0.6194
H -1.226633 -0.565082 0.917719 1.1874 -1.0257 0.2817
H -0.275101 -1.500761 2.104554 0.6282 0.2004 1.9596
H 1.458291 1.609390 -2.014384 -0.2320 -0.4241 0.2627
```
Positions in Å, forces in eV/Å.

Computed properties:
Gap between HOMO and LUMO, eV: 7.8488
Maximum force, Eh/bohr: 0.0612
LUMO, Ha: -0.0164
Energy above the lowest of the compared OMol25 structures with the same formula, charge and spin, kJ/mol: 207.0
Charge: 0
E, eV: -22562.1582

=====

2.
Density functional theory data (the ωB97M-V functional and the def2-TZVPD basis) for an isolated molecule of C2H4INS in a non-equilibrium geometry.

```
9
Properties=species:S:1:pos:R:3:forces:R:3
C 0.319387 1.072454 -0.538112 0.4911 -0.1717 1.1492
C 1.126343 0.178064 0.293766 -0.3375 -0.5500 -1.8128
N -1.607713 -1.563122 0.094490 -0.3435 -0.2329 -2.0136
S 1.379339 -1.385043 -0.223091 -0.7192 0.7168 0.1918
I -2.041486 0.313062 -0.062909 0.8063 -0.7704 0.9283
H 0.254809 2.132341 -0.128151 -0.0106 -1.2714 -1.2722
H 0.130227 0.737291 -1.612769 0.7092 0.9931 1.6215
H 1.597303 0.410016 1.254093 -0.6992 0.6141 -0.2285
H -1.158207 -1.895064 0.922681 0.1033 0.6725 1.4364
```
Positions in Å, forces in eV/Å.

Computed properties:
Gap between HOMO and LUMO (alpha / beta), eV: 6.9169 / 6.9998
Maximum force, Eh/bohr: 0.0400
LUMO (alpha / beta), Ha: -0.0528 / -0.0569
Energy above the lowest of the compared OMol25 structures with the same formula, charge and spin, kJ/mol: 405.1
Charge: 0
E, eV: -22560.1057

=====

3.
Density functional theory data (the ωB97M-V functional and the def2-TZVPD basis) for C2H4InO3 as an isolated structure in a non-equilibrium geometry.

```
10
Properties=species:S:1:pos:R:3:forces:R:3
C 2.072835 -1.160626 1.044785 1.2045 0.0894 0.8895
O 0.876130 -1.130839 1.297362 1.8681 -2.0773 0.6557
H 2.671210 -0.233105 1.029420 -0.2032 -0.1874 -0.3741
H 2.601196 -2.126280 0.977615 -0.3370 0.1786 -0.1501
O -0.315344 1.341979 -0.561405 0.8673 1.6185 -1.4656
C -1.560628 0.942839 -1.074243 -1.6071 1.9443 -2.6207
O -2.094855 -0.071904 -0.269987 -2.2769 -0.8126 -0.9200
In -0.557011 0.044599 0.779348 0.0373 -0.2163 3.2000
H -1.439202 0.577850 -2.120983 0.0497 -0.0019 0.6467
H -2.254331 1.815487 -1.101911 0.3973 -0.5353 0.1385
```
Positions in Å, forces in eV/Å.

Computed properties:
Gap between HOMO and LUMO, eV: 7.5101
Maximum force, Eh/bohr: 0.0707
LUMO, Ha: -0.2392
Energy above the lowest of the compared OMol25 structures with the same formula, charge and spin, kJ/mol: 0.0
********


The Long-Term Care Environment…
• 25 to 30% of Skilled Nursing Facility (SNF) admissions have a primary pulmonary diagnosis with an additional 35 to 40% of SNF admissions having secondary pulmonary and/or cardiac diagnosis
• Up to 60% of hospital re-admissions are due to cardiac or pulmonary issues including Congestive Heart Failure (CHF), COPD and Pneumonia
• It is estimated that 70% of these hospital re-admissions could be prevented with early intervention and diagnosis
• For several years Hospitals have been penalized for frequent Medicare re-admissions and more recently Skilled Nursing Facilities will experience the same exposure from Medicare (SNF-VPB October 2018)
• With the addition of Covid-19 patients who have pre-existing long standing Cardio-Pulmonary conditions need higher levels of care
• Post Covid hospital discharges who may require short term Cardio-Pulmonary rehab will present additional challenges for the nursing staff.
• Nurses lack specific training and related expertise in treating and diagnosing early signs of Respiratory and Congestive Heart Failure (CHF) and related pulmonary difficulties
• Patient to nurse ratios are higher in SNF
• Time requirements do not allow SNF nurses the ability to focus on the cardiac and pulmonary needs of patients served
• Most nursing facilities do not have the full compliment of diagnostic equipment required to monitor and treat problems
• Pulmonary Re-habilitation, oxygen weaning and Trach decannulation programs are not readily available

The Problem…
The Solution… CCMI Cardio-Pulmonary Education Program

-- These molecular data were left in the text by mistake --
+++
Below is an isolated molecule of C6H11N in a non-equilibrium geometry, with properties calculated with ωB97M-V/def2-TZVPD.

Results
calculated total energy = -7888.3554 eV
HOMO energy = -0.2729 Ha
structure (SMILES) = C=C/C(=C\N)CC
relative energy (zero: lowest compared OMol25 entry of this formula, charge and spin) = 209.9 kJ/mol
lowest unoccupied orbital energy = 0.962 eV
maximum force = 2.51 eV Å⁻¹

XYZ file:
```
18
Properties=species:S:1:pos:R:3:forces:R:3:lowdin_charge:R:1
C -1.30068 -1.88560 -0.26454 0.51 1.34 -1.08 0.0186
C -0.06571 -1.53423 0.18392 -1.86 -0.14 1.68 -0.1545
C 0.45996 -0.18141 0.09059 0.32 0.79 -0.34 -0.2918
C 1.09359 0.43405 1.10717 0.31 -1.21 0.96 -0.1487
N 1.05728 -0.03874 2.40474 0.07 -0.12 0.42 0.0620
C 0.35218 0.56078 -1.21856 0.65 0.81 -0.48 -0.2387
C -0.81452 1.55560 -1.31998 -0.20 -0.68 -0.32 -0.1015
H -1.63374 -2.81492 -0.70740 -0.03 -0.53 1.15 0.0488
H -1.94835 -1.03368 -0.47406 0.09 -0.21 -0.81 0.0417
H 0.31551 -2.16237 0.99685 1.06 -0.57 -0.99 0.0909
H 1.79344 1.25294 1.03103 -0.48 0.53 -0.50 0.1218
H 1.61569 0.38337 3.12319 0.22 0.07 -0.23 0.0795
H 0.78596 -0.98398 2.62198 -0.25 0.11 -0.23 0.0741
H 0.37677 -0.10142 -2.08590 -0.39 -0.29 0.20 0.1056
H 1.24516 1.17868 -1.38695 0.15 -0.17 0.31 0.1014
H -0.63203 2.46437 -0.75047 -0.05 -0.09 0.20 0.0693
H -0.96796 1.83578 -2.36250 0.02 0.12 -0.05 0.0664
H -1.73255 1.07079 -0.98909 -0.13 0.25 0.13 0.0551
```
Positions in Å, forces in eV/Å.

----------

Record 1
ORCA calculation (the ωB97M-V functional and the def2-TZVPD basis) on a 2-piece molecular cluster, C3H3F3IN overall in a non-equilibrium geometry.

Geometry as XYZ:
```
11
Properties=species:S:1:pos:R:3:nbo_charge:R:1
C -0.872 -0.927 -0.446 0.3906
C -0.291 -1.963 0.039 0.5700
C 0.950 1.311 0.419 -0.4580
N -0.094 1.087 -0.554 -0.5970
F -1.724 -0.964 -1.431 -0.2856
F -0.691 -3.200 -0.229 -0.2890
F 0.718 -1.944 0.975 -0.3109
I -1.716 2.299 -0.578 0.3431
H 0.560 1.675 1.298 0.1888
H 1.633 0.419 0.404 0.2339
H 1.527 2.208 0.103 0.2141
```

Relative energy (zero: lowest compared OMol25 entry of this formula, charge and spin) ... 0.0198 eV
Lowest unoccupied orbital energy (spin up / spin down) ... -0.0402 / -0.0403 Eh
HOMO energy (spin up / spin down) ... -0.3275 / -0.3284 Ha
Gap between HOMO and LUMO (spin up / spin down) ... 7.818 / 7.840 eV

Record 2
ORCA calculation (the ωB97M-V functional and the def2-TZVPD basis) on C18H72O18 as an isolated structure in a non-equilibrium geometry.

Geometry as XYZ:
```
108
Properties=species:S:1:pos:R:3:mulliken_charge:R:1
O 1.401 -3.088 0.710 -0.2782
H 1.030 -2.987 1.587 0.1318
H 0.700 -3.492 0.199 1.1014
O 0.711 -2.881 2.594 -0.7039
H 0.093 -2.486 3.209 -0.0445
H 0.720 -3.810 2.825 0.2478
O -1.105 -0.445 -3.235 -0.8782
H -0.202 -0.721 -3.076 -0.1480
H -1.531 -1.219 -3.602 0.4255
O -0.754 -1.911 3.683 -0.5991
H -1.245 -1.344 4.278 0.6415
H -0.457 -1.327 2.985 -0.4680
O 1.132 -2.327 -1.444 -0.4941
H 0.349 -2.505 -0.925 -0.5042
H 1.395 -3.183 -1.784 0.4061
+++
-- The text goes on --

NSCPT Curriculum Components

Records of molecules, as found in the file
- - -
#a
The following is a DFT calculation (ωB97M-V with the def2-TZVPD basis set) of a structure of composition C4H5NO3.

Atoms and positions in Å:
1 H 1.592 -1.879 -0.215
2 O -2.291 0.415 -0.142
3 C 0.766 -1.301 -0.155
4 H 2.627 1.259 0.248
5 C -1.024 -0.103 -0.010
6 H -1.369 -2.257 -0.037
7 H -0.750 2.632 -0.355
8 C 0.009 0.765 0.188
9 O 0.119 2.109 -0.149
10 C -0.565 -1.410 -0.155
11 H -2.763 -0.402 0.728
12 O 2.518 0.242 -0.131
13 N 1.131 -0.070 0.184

gap between HOMO and LUMO = 7.88 eV

=====

#b
The following is a DFT calculation (ωB97M-V with the def2-TZVPD basis set) of a cluster of 2 separate species, C4H5NO3 in total.

Atoms and positions in Å:
1 C -1.454 0.503 0.004
2 C 0.751 1.445 -0.037
3 H 2.930 -0.361 -0.121
4 O -3.448 -0.593 0.125
5 N -2.714 0.650 0.159
6 H 2.221 -1.109 1.327
7 H 1.438 2.463 0.263
8 O -0.571 -0.624 -0.300
9 H -2.761 -1.454 -0.756
10 O -0.747 1.605 -0.156
11 C 1.906 -0.767 0.179
12 H 1.762 -1.768 -0.491
13 C 0.687 0.009 -0.195

gap between HOMO and LUMO = 8.57 eV

=====

#c
The following is a DFT calculation (ωB97M-V with the def2-TZVPD basis set) of an isolated molecule of C4H5NO3.

Atoms and positions in Å:
1 C 0.192 0.116 0.340
2 H 0.199 -1.041 2.620
3 O 1.134 0.978 -1.829
4 C 0.225 0.437 -0.951
5 C -1.142 -0.183 -1.202
6 O 2.230 1.065 1.689
7 H -0.995 -1.017 -1.991
8 H 0.778 0.858 -2.684
9 N -1.038 -0.662 0.304
10 C 1.365 0.257 1.724
11 H -2.017 0.220 -1.546
12 H -1.943 -0.484 0.868
13 O 1.012 -0.544 2.656

SMILES = O=C(O)C1=C(O)CN1
gap between HOMO and LUMO = 8.91 eV

=====

#d
The following is a DFT calculation (ωB97M-V with the def2-TZVPD basis set) of an isolated molecule of C4H5NO3.

Atoms and positions in Å:
1 C 3.631 -0.347 0.032
2 O 0.845 -1.679 0.059
3 H -0.575 1.406 -0.239
4 C 0.838 -0.276 -0.007
5 H -1.699 -1.203 -0.600
6 O 4.733 -0.611 -0.152
7 H -0.030 -1.997 0.340
8 H 1.896 1.972 -0.725
9 C 2.350 0.226 0.029
10 O 2.397 1.641 0.121
11 C -0.421 0.370 0.115
12 H -2.349 0.262 -0.462
13 N -1.652 -0.286 -0.188

SMILES = N/C=C(\O)C(O)=C=O
gap between HOMO and LUMO = 7.93 eV

=====

Energy ordering: #c at the bottom, the next structure 12.6 kcal/mol above.

=====

#a
The following is a DFT calculation (ωB97M-V with the def2-TZVPD basis set) of a cluster of 2 separate species, C7H13N3O in total.

Atoms and positions in Å:
1 H 2.874 0.384 2.375
2 H -0.953 -0.354 -1.544
3 H 1.559 -0.653 2.955
4 C 1.673 -0.528 0.860
5 H 0.579 -2.432 1.179
6 H -2.431 -0.190 -2.522
7 H -2.515 1.896 -1.266
8 C 1.836 0.093 2.212
9 H -0.056 2.202 -0.802
10 N -0.335 1.931 0.124
11 H -3.390 0.845 -0.188
12 C -2.038 -0.256 -1.509
13 C 1.918 -0.818 -1.257
14 C 1.076 -1.708 0.557
15 O -1.658 0.877 1.600
16 H -2.437 -1.133 -0.997
17 H 0.416 1.909 0.794
18 C -2.428 0.974 -0.681
19 C -1.458 1.238 0.454
20 H 2.206 -0.685 -2.286
21 N 2.172 0.032 -0.303
22 H 0.941 -2.717 -1.282
23 H 1.223 0.984 2.321
24 N 1.229 -1.887 -0.794

SMILES = Cc1c[nH]cn1.CCC(N)=O
gap between HOMO and LUMO = 9.54 eV

=====

#b
- - -

• Cardio-Pulmonary Anatomy & Physiology
• Circulation and Related Diseases
• Oxygen Administration & Safety
• Pharmacology & Adverse Reactions
• COPD & CHF with Covid Challenges
• Specialized Respiratory Equip
• Invasive Vents (NIV)
• Non-Invasive Vents (NIV)
• Airvo Systems
• Bi-Pap & CPAP
• Sleep Testing
In Conclusion: CCMI Program Benefits
• Provides a focused program of Cardio-Pulmonary education to licensed nursing staff.
• Provides advanced education and training in the use of specialized Respiratory Equipment used in the post-acute facility
• Provides significant improvement in a nurses' knowledge of Cardio-Pulmonary and respiratory procedures provided in the post-acute environment
• Provides a background which will enable nurses to deal with and have a thorough understanding of their patients’ disease
• Provides the nurse an ability to “Bridge the Gap” in skills that are needed to deal with Cardio-Pulmonary challenges presented by their patients.